Exercise:
Please transcribe everything underneath with every line break kept.
Data:
~~~
Entry 1:
~~~
Reply:
Entry 1: